How to Be a BOLD Photographer

In photography and almost everything in life, BOLDNESS will elevate you from timidity to grandeur.

I think I’m a petty bold person. I’ll share my personal remedies to fight timidness, and how I built my personal confidence.

I. Street photography at age 18

When I started to shoot street photography at age 18, I was scared shitless.

Making eye contact with a stranger terrified me. But over a decade, I learned to not even flinch before shooting a street photograph without permission.

What helped me? I’m not sure, but let me try to think this through.

First of all, I learned how to ask for permission. The biggest misconception in street photography is that you must shoot your photos candidly, without permission. Wrong. You can ask for permission. Often, asking for permission is more scary than shooting without permission.

To ask for permission takes more guts than shooting candidly. Why? Because you put yourself on the line when you ask for permission. There is the risk that you will get rejected, or made to look stupid.

To be honest, Henri Cartier-Bresson (godfather of street photography) was a very timid man. He often pretended to sneeze when shooting street photographs, covering his Leica with a handkerchief. To be frank, he was damn sneaky. Kind of in a creepy way sometimes, I think.

The photographer I admire most is Bruce Gilden: for his boldness, unapologetic attitude, and his personal courage. But funny enough, even Gilden admits that he’s an introvert at heart.

II. Loving rejection.

Secondly, I learned how to love rejection. Rather than being afraid of rejection, I learned to expect it– and to actually rejoice when I got rejected.

For example, if I see someone with a face tattoo who scares me, and I have the courage to ask them for permission, and I still get rejected– I pat myself on the back and say:

Eric, I’m proud that you took a risk to ask. It is better that you asked for permission, and got rejected– than not even having a backbone to ask.

Lesson: when in doubt, ask for permission. It is better to get rejected, than to never ask in the first place.

III. Don’t use a zoom lens

The biggest deterrent to my street photography was using a zoom lens (18mm-200mm Sigma lens, on my Canon 350D). It was a crutch.

Rather, I started to shoot with a 35mm f/2 lens on my Canon 5D, and it forced me to push myself out of my comfort zone– to use “foot zoom” to get closer to my subjects, both physically and emotionally.

A good assignment I learned from my friend Satoki Nagata: the .7 meter challenge. You’re only allowed to make photos from .7 meters, which is roughly one arm length away. It is conveniently the minimum focusing distance on the Leica. So an easier way to become more bold, try it out.

I genuinely believe if all street photographers used a 28mm or 35mm prime (non zoom and non-telephoto) lens, you would force yourself to become more bold, take more risks, and build your personal confidence.

III. Be comfortable in your own skin.

A lot of us are afraid to shoot street photography and be bold because we assume (wrongly) that everyone else doesn’t like to have their photos taken– because we personally don’t like the way we look in photos.

I am a narcissist. I love photos of myself. I like shooting selfies of myself. I’m confident in my body image, my face, and how I look. So I have no personal qualms photographing others– because I (wrongly) assume that others like to have photos shot of themselves.

There is the SILVER RULE:

Don’t do unto others as you don’t want others to do unto you.

Therefore, if you don’t like others photographing you– you shouldn’t photograph others.

The only way to fix this is the following:

Learn how to like being photographed.

You can do this by changing your perception of your own body image. Study Stoic philosophy, Zen Buddhism, or just start doing deadlifts at the gym. Stop eating sugar, and stop drinking soda or fruit juice. If you lose body fat, you will probably feel better about your body image. Also building physical strength (yoga and push-ups and chin-ups) is a good way to boost your self confidence.

Just look at the mirror and ask yourself:

Do I like the way I look?

If not, ask yourself “why not?”

I can’t speak for you, because I don’t know you. But I can speak for myself:

[Data records, kept here for reference]
'''
Record 1
A relaxed structure of PuNbIr2, computed with PBE-GGA.

Structure (POSCAR):
```
PuNbIr2
1.0
0.0000 3.3130 3.3130
3.3130 0.0000 3.3130
3.3130 3.3130 0.0000
Pu Nb Ir
1 1 2
direct
0.0000 0.0000 0.0000
0.5000 0.5000 0.5000
0.2500 0.2500 0.2500
0.7500 0.7500 0.7500
```

Values from the calculation:
The size of the total moment is 1.15 μB per atom. The calculation puts the energy relative to the lowest polymorph listed for this composition at 0.188 eV per atom. Its formation energy is -218 meV per atom. The calculation puts the density of states at the Fermi level at 8.9 states/eV/cell.

Record 2
A relaxed structure of PuNbIr2, computed with PBE-GGA.

Structure (POSCAR):
```
PuNbIr2
1.0
4.2139 0.0000 0.0000
0.0000 4.2139 0.0000
0.0000 0.0000 3.9789
Pu Nb Ir
1 1 2
direct
0.0000 0.0000 0.0000
0.5000 0.5000 0.0000
0.0000 0.5000 0.5000
0.5000 0.0000 0.5000
```

Values from the calculation:
The size of the total moment is 0.99 μB per atom. The calculation puts the energy relative to the lowest polymorph listed for this composition at 0.169 eV per atom. Its formation energy is -236 meV per atom. The calculation puts the density of states at the Fermi level at 11.4 states/eV/cell.

Record 3
A relaxed structure of PuNbIr2, computed with PBE-GGA.

Structure (POSCAR):
```
PuNbIr2
1.0
2.9959 0.0000 0.0000
0.0000 2.9959 0.0000
0.0000 0.0000 7.9278
Pu Nb Ir
1 1 2
direct
0.0000 0.0000 0.0000
0.0000 0.0000 0.5000
0.5000 0.5000 0.2767
0.5000 0.5000 0.7233
```

Values from the calculation:
The size of the total moment is 1.16 μB per atom. The calculation puts the energy relative to the lowest polymorph listed for this composition at 0.000 eV per atom. Its formation energy is -405 meV per atom. The calculation puts the density of states at the Fermi level at 7.6 states/eV/cell.

Record 4
A relaxed structure of PuNbIr, computed with PBE-GGA.

Structure (POSCAR):
```
PuNbIr
1.0
-3.9633 6.3734 3.5909
3.9633 -6.3734 3.5909
3.9633 6.3734 -3.5909
Pu Nb Ir
6 6 6
direct
0.0095 0.2500 0.2595
0.1279 0.1040 0.5239
0.1836 0.6345 0.0491
0.5801 0.6040 0.4761
0.5854 0.1345 0.9509
0.9905 0.7500 0.7405
0.3443 0.3443 0.0000
0.3443 0.8443 0.5000
0.5823 0.1648 0.3369
0.5823 0.7454 0.9175
0.8279 0.2454 0.6631
0.8279 0.6648 0.0825
0.2517 0.0790 0.1560
0.2517 0.5957 0.6726
0.5444 0.3314 0.7130
0.6184 0.8314 0.2870
0.9230 0.0957 0.8440
0.9230 0.5790 0.3274
```

Values from the calculation:
The size of the total moment is 0.58 μB per atom. Its formation energy is -214 meV per atom. The calculation puts the density of states at the Fermi level at 52.9 states/eV/cell.

Record 5
A relaxed structure of Pu2NbSi4Ir3, computed with PBE-GGA.

Structure (POSCAR):
```
Pu2NbSi4Ir3
1.0
4.1147 0.0000 0.0000
0.0000 4.1147 0.0000
0.0000 0.0000 10.3970
Pu Nb Si Ir
2 1 4 3
direct
0.0000 0.5000 0.2427
0.5000 0.0000 0.7573
0.0000 0.0000 0.5000
0.0000 0.0000 0.0000
0.0000 0.5000 0.6480
0.5000 0.0000 0.3520
0.5000 0.5000 0.0000
0.0000 0.5000 0.8784
0.5000 0.0000 0.1216
0.5000 0.5000 0.5000
```
'''

I don’t like the way I look topless, when I have excess body fat.


I don’t like the way my head or face looks, when I haven’t cut my hair in a while.

Therefore, for my personal ego, I cut my hair often, I workout, and keep a lean body fat percentage (I can see my 6-pack, by not eating breakfast, or lunch– only a protein and veggie heavy dinner, followed by an “egg snack” of 5-6 eggs in the evening, including yolks).

Another assignment I learned from my friend Sara Lando: pay a professional photographer money to have your portrait made. Then figure out what makes you feel comfortable, and uncomfortable. Then learn how to treat others differently.


My right thumb is starting to hurt from all this typing, so I’m gonna wrap this up.

To become more bold, do the following:

  1. Learn to love rejection.
  2. Don’t make photos from a far distance.
  3. Learn to honor thy selfie.

To me, that is what it means to be BOLD.

If you learn how to be bold, you can turn any opportunity into gold. You can conquer your own personal fears, and build your own personal Rome. Sit on your throne with confidence and swag– throw all your insecurities into a bag.

Don’t lag. Work everyday to become more BOLD– Eric Kim always has your back.

Be strong,

To conquer your fears and meet new peers, attend an ERIC KIM WORKSHOP, or buy STREET NOTES for practical street photography assignments, designed to take your street photography (and confidence) to the next level.